With this, Norway has finally equated asylum seekers who are atheists / non-believers with those who apply for asylum on the basis of conversion.
• The article is interrupted by calculated crystals:
........
[1]
First-principles (PBE) data for an optimized crystal structure of Hf6OsC, as listed in Alexandria.

POSCAR file:
```
Hf6OsC
1.0
5.772 0.002 -0.014
2.875 5.024 0.006
2.857 1.674 5.634
Hf C Os
6 1 1
direct
0.780 0.044 0.764
0.952 0.591 0.235
0.048 0.409 0.765
0.220 0.956 0.236
0.592 0.223 0.233
0.408 0.777 0.767
0.000 0.000 0.000
0.500 0.500 0.500
```

formation enthalpy at 0 K: -0.15 eV/atom
Fermi-level density of states: 8.18 states/eV/cell
E_tot: -10.1693 eV per atom

[2]
First-principles (PBE) data for an optimized crystal structure of BeFeSeBr2, as listed in Alexandria.

POSCAR file:
```
BeFeSeBr2
1.0
-1.033 4.713 1.382
-2.270 0.794 -4.406
-3.885 -1.366 1.756
Fe Be Br Se
1 1 2 1
direct
0.000 0.000 0.000
0.500 0.500 0.500
0.000 0.500 0.000
0.500 0.000 0.000
0.000 0.000 0.500
```

E above lowest polymorph: 1.15 eV per formula unit
Fermi-level density of states: 4.78 states/eV/cell
E_tot: -3.2139 eV per atom
formation energy without anion corrections: 0.5899 eV per atom

[3]
First-principles (PBE) data for an optimized crystal structure of YRe2AgO8, as listed in Alexandria.

POSCAR file:
```
YRe2AgO8
1.0
-2.445 5.112 -2.730
-3.783 -4.233 2.707
0.448 3.326 5.828
O Re Ag Y
8 2 1 1
direct
0.647 0.823 0.681
0.667 0.333 0.981
........
• Back to the article:
In December, new guidelines were issued by the Ministry of Justice for the processing of asylum cases, who state fears of persecution on the basis of religion. The guidelines emphasize that atheists or non-believers, people who have left a religion, should be treated equally with those who have converted to another faith.
Until recently, the practice has been that Christian converts from Afghanistan who have been considered “real” converts have always been granted asylum. The same could not be said for atheists or non-believers, as the state often determined that it was safe to live as a “hidden”, “non-missionary atheist” in Kabul, and thus they could safely return. . The new guidelines state that no asylum seeker can be forced to conceal the practice of their religion or outlook on life in order to avoid persecution in the event of a return. The move brings the Ministry of Justice’s guidelines into line with international human rights mechanisms, which establish that,
“religious belief, identity or way of life is considered as so fundamental to human identity that one should not be compelled to hide, change or renounce it in order to avoid persecution.”
A dangerous country for non-believers
A few months ago, Landinfo – an independent body within the Norwegian Ministry of Justice and Public Security that is responsible for collecting, analysing and presenting country of origin information to the immigration authorities for use in the determination of asylum applications – released a new report (available in Norwegian here) examining the situation of atheists, non-believers and people accused of blasphemous actions in Afghanistan. The report cites, among other things, the Freedom of Thought Report, which documents the human rights situation of atheists, humanists and non-believers worldwide.
Landinfo’s report emphasizes that apostasy from Islam and blasphemy can ultimately be punished with death in Afghanistan, although this has not happened since the fall of the Taliban. Nevertheless, the report states that violations of Islam have a strong mobilizing force in society, and refers to several examples where mobs have killed people accused of ‘blasphemous’ actions or attitudes. The report therefore leaves little doubt that openly declaring oneself an atheist in Afghanistan is associated with great danger.
Reports from Landinfo are used by the Directorate of Immigration and the Immigration Appeals Board when assessing whether an asylum seeker is entitled to stay in Norway or not.
A victory for equal treatment
Human-Etisk Forbund – a Member Organization of Humanists International – has worked tirelessly to support members of the humanist community seeking asylum in Norway, and Moradi’s case in particular.
**Next to the entry, the page also holds materials data:**
┌──
[1]
The following is a DFT calculation (PBE) of crystalline Er4NiBi at its relaxed geometry.

Structure (CIF):
```
data_Er4NiBi
_space_group_name_H-M_alt 'P 1 21/m 1'
_space_group_IT_number 11
_cell_length_a 5.057
_cell_length_b 8.524
_cell_length_c 8.240
_cell_angle_alpha 90.00
_cell_angle_beta 107.82
_cell_angle_gamma 90.00
loop_
_space_group_symop_operation_xyz
'x,y,z'
'-x,-y,-z'
'-x,y+1/2,-z'
'x,-y+1/2,z'
loop_
_atom_site_label
_atom_site_type_symbol
_atom_site_fract_x
_atom_site_fract_y
_atom_site_fract_z
Er1 Er 0.088 0.250 0.175
Er2 Er 0.150 0.750 0.300
Er3 Er 0.327 0.527 0.653
Ni1 Ni 0.252 0.250 0.500
Bi1 Bi 0.477 0.250 0.954
```

## Properties
Volume = 28.177 A^3/atom
Electronic total energy = -4.91 eV per atom
E above lowest polymorph = 0.178 eV/atom
Energy of formation from the pure elements = -0.253 eV per atom

[2]
The following is a DFT calculation (PBE) of crystalline NaCoBr3 at its relaxed geometry.

Structure (CIF):
```
data_NaCoBr3
_space_group_name_H-M_alt 'P m -3 m'
_space_group_IT_number 221
_space_group_name_Hall '-P 4 2 3'
_cell_length_a 5.351
_cell_length_b 5.351
_cell_length_c 5.351
_cell_angle_alpha 90.00
_cell_angle_beta 90.00
_cell_angle_gamma 90.00
loop_
_atom_site_label
_atom_site_type_symbol
_atom_site_fract_x
_atom_site_fract_y
_atom_site_fract_z
Na1 Na 0.000 0.000 0.000
Co1 Co 0.500 0.500 0.500
Br1 Br 0.000 0.000 0.500
```

## Properties
Volume = 30.638 A^3/atom
Electronic total energy = -2.43 eV per atom
E_form (uncorrected) = 262 meV/atom
E above lowest polymorph = 1.043 eV/atom

[3]
The following is a DFT calculation (PBE) of crystalline SrMnCd at its relaxed geometry.

Structure (CIF):
```
data_SrMnCd
_space_group_name_H-M_alt 'P -6 m 2'
_space_group_IT_number 187
_space_group_name_Hall 'P -6 2'
_cell_length_a 4.8892
_cell_length_b 4.8892
_cell_length_c 4.1468
_cell_angle_alpha 90.00
_cell_angle_beta 90.00
_cell_angle_gamma 120.00
loop_
_atom_site_label
_atom_site_type_symbol
_atom_site_fract_x
_atom_site_fract_y
_atom_site_fract_z
Sr1 Sr 0.0000 0.0000 0.0000
Mn1 Mn 0.3333 0.6667 0.5000
Cd1 Cd 0.6667 0.3333 0.5000
```

## Properties
Volume = 28.615 A^3/atom
Electronic total energy = -3.71 eV per atom
E above lowest polymorph = 0.000 eV/atom
Energy of formation from the pure elements = 0.211 eV per atom

[4]
The following is a DFT calculation (PBE) of crystalline Ag4PdAu3 at its relaxed geometry.

Structure (CIF):
```
data_Ag4PdAu3
_space_group_name_H-M_alt 'C 1 2/m 1'
_space_group_IT_number 12
_cell_length_a 20.000
_cell_length_b 2.868
_cell_length_c 5.063
_cell_angle_alpha 90.00
_cell_angle_beta 104.53
_cell_angle_gamma 90.00
loop_
_space_group_symop_operation_xyz
'x,y,z'
'-x,-y,-z'
'-x,y,-z'
'x,-y,z'
'x+1/2,y+1/2,z'
'-x+1/2,-y+1/2,-z'
'-x+1/2,y+1/2,-z'
'x+1/2,-y+1/2,z'
loop_
_atom_site_label
_atom_site_type_symbol
_atom_site_fract_x
_atom_site_fract_y
_atom_site_fract_z
Ag1 Ag 0.122 0.000 0.456
Ag2 Ag 0.124 0.500 0.953
Pd1 Pd 0.000 0.500 0.500
Au1 Au 0.000 0.000 0.000
Au2 Au 0.250 0.000 0.251
```
└──
**So much for the materials data:**
Trond Enger, Secretary General of the Human-Etisk Forbund
In response to the latest developments, Secretary General of the Human-Etisk Forbund, Trond Enger, said:
“We are very pleased that the Norwegian immigration authorities now treat non-believing asylum seekers equally with those who have converted. This is clearly a victory for humanistic principles, both in the Norwegian immigration administration, and for persecuted humanists around the world.”
_These materials data were left in the piece by mistake_
____________
[1]
Compound: LiCeZrAl
Source: the Alexandria database
Functional: PBE
Structure: optimized geometry

Computed properties:
**Spin magnetization**: 0.6 μB per formula unit

Lattice parameters (Å, degrees): 7.022 7.022 7.022 90.00 90.00 90.00
Space group F-43m (No. 216)
Unique sites:
Li (0.000, 0.000, 0.000)
Ce (0.250, 0.250, 0.750)
Zr (0.250, 0.250, 0.250)
Al (0.000, 0.000, 0.500)

---

[2]
Compound: Ce2LuAl
Source: the Alexandria database
Functional: PBE
Structure: optimized geometry

Computed properties:
**Spin magnetization**: 0.0 μB per formula unit

Lattice parameters (Å, degrees): 3.1594 3.1594 34.8687 90.00 90.00 120.00
Space group R-3m (No. 166, hexagonal axes)
Unique sites:
Ce (0.0000, 0.0000, 0.0909)
Lu (0.0000, 0.0000, 0.0000)
Al (0.0000, 0.0000, 0.5000)

---

| no. | formation energy from the elements (kJ/mol of formula units) |
| --- | --- |
| 1 | -14 |
| 2 | 39 |

----------

# 1
A plane-wave DFT calculation with PBE-GGA was carried out for Y3Tm4Pt4 after structural relaxation.

a = 4.394 Å, b = 7.997 Å, c = 8.902 Å
α = 116.69°, β = 104.29°, γ = 90.00°
Sites, in units of the cell vectors:
Tm 0.330 0.534 0.660
Tm 0.670 0.466 0.340
Tm 0.330 0.126 0.660
Tm 0.670 0.874 0.340
Pt 0.217 0.717 0.434
Pt 0.783 0.283 0.566
Pt 0.500 0.184 0.000
Pt 0.500 0.816 0.000
Y 0.000 0.500 0.000
Y 0.103 0.103 0.207
Y 0.897 0.897 0.793

Output
E_form, eV per atom: -0.94
Total magnetization, μB/f.u.: 0.000

=====

# 2
A plane-wave DFT calculation with PBE-GGA was carried out for YTmPt6 after structural relaxation.

a = 4.110 Å, b = 4.110 Å, c = 8.214 Å
α = 90.00°, β = 90.00°, γ = 90.00°
Sites, in units of the cell vectors:
Pt 0.000 0.500 0.253
Pt 0.500 0.500 0.500
Pt 0.500 0.000 0.747
Pt 0.500 0.500 0.000
Pt 0.500 0.000 0.253
Pt 0.000 0.500 0.747
Tm 0.000 0.000 0.500
Y 0.000 0.000 0.000

Output
E_form, eV per atom: -1.04
Total magnetization, μB/f.u.: 0.000

=====

# 3
A plane-wave DFT calculation with PBE-GGA was carried out for YTm2Pt after structural relaxation.

a = 3.878 Å, b = 3.878 Å, c = 9.241 Å
α = 77.89°, β = 77.89°, γ = 60.00°
Sites, in units of the cell vectors:
Y 0.502 0.502 0.495
Tm 0.272 0.272 0.183
Tm 0.060 0.060 0.820
Pt 0.666 0.666 0.003

Output
Energy above the lowest structure with this stoichiometry, eV/atom: 0.189
E_form, eV per atom: -0.55
Total magnetization, μB/f.u.: 0.002

=====

# 4
A plane-wave DFT calculation with PBE-GGA was carried out for YTmZnPt after structural relaxation.

a = 3.529 Å, b = 3.529 Å, c = 6.925 Å
α = 90.00°, β = 90.00°, γ = 90.00°
Sites, in units of the cell vectors:
Tm 0.500 0.500 0.615
Pt 0.000 0.000 0.846
Zn 0.000 0.000 0.365
Y 0.500 0.500 0.102

Output
Energy above the lowest structure with this stoichiometry, eV/atom: 0.000
E_form, eV per atom: -0.83
Total magnetization, μB/f.u.: 0.000

=====

# 5
A plane-wave DFT calculation with PBE-GGA was carried out for YTmZnPt after structural relaxation.

a = 4.958 Å, b = 4.958 Å, c = 4.958 Å
α = 60.00°, β = 60.00°, γ = 60.00°
Sites, in units of the cell vectors:
____________
Josef Moradi received the Humanist Award in 2019, for giving voice and face to the difficult situation for non-believers in a world where religion is constantly used to restrict fundamental rights.
The Human-Ethical Association has assisted the Norwegian immigration authorities in the development of new interview guides for asylum seekers who apply on the basis of atheism.
In November 2020, the Human-Ethical Association submitted a consultation response regarding the processing of cases concerning conversion in the Immigration Appeals Board to the Ministry of Justice and Emergency Preparedness.
Emma Wadsworth-Jones, Casework & Campaigns Manager
Humanists International’s Humanists at Risk Coordinator, Emma Wadsworth-Jones, said:
“We have seen time and again that the persecution of humanists – and the non-religious more generally – is rarely treated by immigration officials across the globe as having equal consequence compared to applications from religious individuals. Many individuals reaching out to Humanists International report having to hide their non-religious beliefs from even their closest family members, and the heavy psychological burden that not living by one’s deeply held convictions places upon them. We hope that other states will follow the Norwegian example.”